_What to do_
Could you give back the whole of the block underneath with every line break kept?
_Contents_
<<<
No. 1
# Ba2PWBr | Alexandria | PBE-GGA | relaxed
data_Ba2PWBr
_symmetry_space_group_name_H-M 'P 4/m m m'
_symmetry_Int_Tables_number 123
_symmetry_space_group_name_Hall '-P 4 2'
_cell_length_a 6.314
_cell_length_b 6.314
_cell_length_c 4.576
_cell_angle_alpha 90.00
_cell_angle_beta 90.00
_cell_angle_gamma 90.00
loop_
_atom_site_label
_atom_site_type_symbol
_atom_site_fract_x
_atom_site_fract_y
_atom_site_fract_z
Ba1 Ba 0.000 0.500 0.000
P1 P 0.000 0.000 0.000
W1 W 0.000 0.000 0.500
Br1 Br 0.500 0.500 0.500
# E = -0.18743 Ha/atom
# N(E_F) = 3.59 states/eV per cell

---

No. 2
# Ba6ZnP2Br3 | Alexandria | PBE-GGA | relaxed
data_Ba6ZnP2Br3
_symmetry_space_group_name_H-M 'C 1 2/m 1'
_symmetry_Int_Tables_number 12
_symmetry_space_group_name_Hall '-C 2y'
_cell_length_a 8.266
_cell_length_b 14.330
_cell_length_c 8.460
_cell_angle_alpha 90.00
_cell_angle_beta 109.06
_cell_angle_gamma 90.00
loop_
_atom_site_label
_atom_site_type_symbol
_atom_site_fract_x
_atom_site_fract_y
_atom_site_fract_z
Ba1 Ba 0.224 0.000 0.218
Ba2 Ba 0.246 0.326 0.216
Zn1 Zn 0.000 0.500 0.000
P1 P 0.000 0.166 0.000
Br1 Br 0.000 0.000 0.500
Br2 Br 0.000 0.332 0.500
# E = -0.13516 Ha/atom
# N(E_F) = 9.07 states/eV per cell

---

No. 3
# BaPa2Br11 | Alexandria | PBE-GGA | relaxed
data_BaPa2Br11
_symmetry_space_group_name_H-M 'I b a m'
_symmetry_Int_Tables_number 72
_symmetry_space_group_name_Hall '-I 2 2c'
_cell_length_a 12.815
_cell_length_b 12.817
_cell_length_c 14.694
_cell_angle_alpha 90.00
_cell_angle_beta 90.00
_cell_angle_gamma 90.00
loop_
_atom_site_label
_atom_site_type_symbol
_atom_site_fract_x
_atom_site_fract_y
_atom_site_fract_z
Ba1 Ba 0.000 0.000 0.250
Pa1 Pa 0.162 0.337 0.000
Br1 Br 0.000 0.500 0.000
Br2 Br 0.057 0.226 0.133
Br3 Br 0.193 0.308 0.500
Br4 Br 0.227 0.057 0.367
# E = -0.16032 Ha/atom
# N(E_F) = 25.99 states/eV per cell

---

No. 4
# Ba2PbBr | Alexandria | PBE-GGA | relaxed
data_Ba2PbBr
_symmetry_space_group_name_H-M 'R 3 m'
_symmetry_Int_Tables_number 160
_symmetry_space_group_name_Hall 'R 3 -2"'
_cell_length_a 4.7487
_cell_length_b 4.7487
_cell_length_c 27.1425
_cell_angle_alpha 90.00
_cell_angle_beta 90.00
_cell_angle_gamma 120.00
loop_
_atom_site_label
_atom_site_type_symbol
_atom_site_fract_x
_atom_site_fract_y
_atom_site_fract_z
Ba1 Ba 0.0000 0.0000 0.0000
Ba2 Ba 0.0000 0.0000 0.1727
Pb1 Pb 0.0000 0.0000 0.5866
Br1 Br 0.0000 0.0000 0.7563
# ΔE to the lowest computed polymorph = 0.303 eV/f.u.
# N(E_F) = 6.80 states/eV per cell

---

Magnetic moment values, unit Bohr magnetons per cell, following the record order: 2.57; 6.07; 4.01; 0.00.

=====

Record 1
Dy3Er7: optimized geometry, PBE.

Structure (POSCAR):
```
Dy3Er7
1.0
-1.447 3.788 -4.888
-9.835 1.267 3.894
7.774 6.690 2.883
Dy Er
6 14
direct
0.867 0.207 0.414
0.867 0.207 0.793
0.867 0.586 0.793
0.367 0.793 0.586
0.367 0.793 0.207
0.367 0.414 0.207
0.013 0.667 0.333
0.513 0.333 0.667
0.884 0.880 0.759
0.884 0.880 0.120
0.884 0.241 0.120
0.384 0.120 0.241
0.384 0.120 0.880
0.384 0.759 0.880
0.214 0.471 0.942
0.214 0.471 0.529
0.214 0.058 0.529
0.714 0.529 0.058
0.714 0.529 0.471
0.714 0.942 0.471
```

Polymorph energy (0 for the lowest one), meV per atom: 180
Fermi-level density of states, states/eV per cell: 37.972
Final energy, eV/atom: -4.376
Symmetry: P6_3mc (186)
ΔH_f (0 K), meV/atom: 199

=====

Record 2
Dy2Er: optimized geometry, PBE.

Structure (POSCAR):
```
Dy2Er
1.0
4.975 0.000 0.000
-2.488 5.262 -1.823
0.000 0.083 7.044
Dy Er
4 2
direct
0.833 0.666 0.416
0.500 0.001 0.750
0.500 0.999 0.250
0.167 0.334 0.584
0.167 0.333 0.083
0.833 0.667 0.917
```

Polymorph energy (0 for the lowest one), meV per atom: 14
Fermi-level density of states, states/eV per cell: 8.176
Final energy, eV/atom: -4.570
Symmetry: C2/m (12)
ΔH_f (0 K), meV/atom: 19

=====

Record 3
DyEr4: optimized geometry, PBE.

Structure (POSCAR):
```
DyEr4
1.0
5.558 0.000 0.000
0.000 5.558 0.000
0.000 0.000 5.558
Er Dy
4 1
direct
0.000 0.000 0.000
0.500 0.000 0.500
0.000 0.500 0.500
0.500 0.500 0.000
0.500 0.500 0.500
>>>
_Worked solution_
No. 1
# Ba2PWBr | Alexandria | PBE-GGA | relaxed
data_Ba2PWBr
_symmetry_space_group_name_H-M 'P 4/m m m'
_symmetry_Int_Tables_number 123
_symmetry_space_group_name_Hall '-P 4 2'
_cell_length_a 6.314
_cell_length_b 6.314
_cell_length_c 4.576
_cell_angle_alpha 90.00
_cell_angle_beta 90.00
_cell_angle_gamma 90.00
loop_
_atom_site_label
_atom_site_type_symbol
_atom_site_fract_x
_atom_site_fract_y
_atom_site_fract_z
Ba1 Ba 0.000 0.500 0.000
P1 P 0.000 0.000 0.000
W1 W 0.000 0.000 0.500
Br1 Br 0.500 0.500 0.500
# E = -0.18743 Ha/atom
# N(E_F) = 3.59 states/eV per cell

---

No. 2
# Ba6ZnP2Br3 | Alexandria | PBE-GGA | relaxed
data_Ba6ZnP2Br3
_symmetry_space_group_name_H-M 'C 1 2/m 1'
_symmetry_Int_Tables_number 12
_symmetry_space_group_name_Hall '-C 2y'
_cell_length_a 8.266
_cell_length_b 14.330
_cell_length_c 8.460
_cell_angle_alpha 90.00
_cell_angle_beta 109.06
_cell_angle_gamma 90.00
loop_
_atom_site_label
_atom_site_type_symbol
_atom_site_fract_x
_atom_site_fract_y
_atom_site_fract_z
Ba1 Ba 0.224 0.000 0.218
Ba2 Ba 0.246 0.326 0.216
Zn1 Zn 0.000 0.500 0.000
P1 P 0.000 0.166 0.000
Br1 Br 0.000 0.000 0.500
Br2 Br 0.000 0.332 0.500
# E = -0.13516 Ha/atom
# N(E_F) = 9.07 states/eV per cell

---

No. 3
# BaPa2Br11 | Alexandria | PBE-GGA | relaxed
data_BaPa2Br11
_symmetry_space_group_name_H-M 'I b a m'
_symmetry_Int_Tables_number 72
_symmetry_space_group_name_Hall '-I 2 2c'
_cell_length_a 12.815
_cell_length_b 12.817
_cell_length_c 14.694
_cell_angle_alpha 90.00
_cell_angle_beta 90.00
_cell_angle_gamma 90.00
loop_
_atom_site_label
_atom_site_type_symbol
_atom_site_fract_x
_atom_site_fract_y
_atom_site_fract_z
Ba1 Ba 0.000 0.000 0.250
Pa1 Pa 0.162 0.337 0.000
Br1 Br 0.000 0.500 0.000
Br2 Br 0.057 0.226 0.133
Br3 Br 0.193 0.308 0.500
Br4 Br 0.227 0.057 0.367
# E = -0.16032 Ha/atom
# N(E_F) = 25.99 states/eV per cell

---

No. 4
# Ba2PbBr | Alexandria | PBE-GGA | relaxed
data_Ba2PbBr
_symmetry_space_group_name_H-M 'R 3 m'
_symmetry_Int_Tables_number 160
_symmetry_space_group_name_Hall 'R 3 -2"'
_cell_length_a 4.7487
_cell_length_b 4.7487
_cell_length_c 27.1425
_cell_angle_alpha 90.00
_cell_angle_beta 90.00
_cell_angle_gamma 120.00
loop_
_atom_site_label
_atom_site_type_symbol
_atom_site_fract_x
_atom_site_fract_y
_atom_site_fract_z
Ba1 Ba 0.0000 0.0000 0.0000
Ba2 Ba 0.0000 0.0000 0.1727
Pb1 Pb 0.0000 0.0000 0.5866
Br1 Br 0.0000 0.0000 0.7563
# ΔE to the lowest computed polymorph = 0.303 eV/f.u.
# N(E_F) = 6.80 states/eV per cell

---

Magnetic moment values, unit Bohr magnetons per cell, following the record order: 2.57; 6.07; 4.01; 0.00.

=====

Record 1
Dy3Er7: optimized geometry, PBE.

Structure (POSCAR):
```
Dy3Er7
1.0
-1.447 3.788 -4.888
-9.835 1.267 3.894
7.774 6.690 2.883
Dy Er
6 14
direct
0.867 0.207 0.414
0.867 0.207 0.793
0.867 0.586 0.793
0.367 0.793 0.586
0.367 0.793 0.207
0.367 0.414 0.207
0.013 0.667 0.333
0.513 0.333 0.667
0.884 0.880 0.759
0.884 0.880 0.120
0.884 0.241 0.120
0.384 0.120 0.241
0.384 0.120 0.880
0.384 0.759 0.880
0.214 0.471 0.942
0.214 0.471 0.529
0.214 0.058 0.529
0.714 0.529 0.058
0.714 0.529 0.471
0.714 0.942 0.471
```

Polymorph energy (0 for the lowest one), meV per atom: 180
Fermi-level density of states, states/eV per cell: 37.972
Final energy, eV/atom: -4.376
Symmetry: P6_3mc (186)
ΔH_f (0 K), meV/atom: 199

=====

Record 2
Dy2Er: optimized geometry, PBE.

Structure (POSCAR):
```
Dy2Er
1.0
4.975 0.000 0.000
-2.488 5.262 -1.823
0.000 0.083 7.044
Dy Er
4 2
direct
0.833 0.666 0.416
0.500 0.001 0.750
0.500 0.999 0.250
0.167 0.334 0.584
0.167 0.333 0.083
0.833 0.667 0.917
```

Polymorph energy (0 for the lowest one), meV per atom: 14
Fermi-level density of states, states/eV per cell: 8.176
Final energy, eV/atom: -4.570
Symmetry: C2/m (12)
ΔH_f (0 K), meV/atom: 19

=====

Record 3
DyEr4: optimized geometry, PBE.

Structure (POSCAR):
```
DyEr4
1.0
5.558 0.000 0.000
0.000 5.558 0.000
0.000 0.000 5.558
Er Dy
4 1
direct
0.000 0.000 0.000
0.500 0.000 0.500
0.000 0.500 0.500
0.500 0.500 0.000
0.500 0.500 0.500